### Work order
Work out how many lines further below have the word "separate" in them; a number is enough.

### Excerpt
-- begin --
Entry 1:
The following is a DFT calculation (ωB97M-V/def2-TZVPD) of a cluster of 4 separate species, C18H59Br2N10O3P5 in total at a distorted geometry.

```
97
Properties=species:S:1:pos:R:3:forces:R:3
N 1.449694 -2.556722 -7.355983 -0.3 -0.2 -2.5
P 0.709663 -1.741124 -8.581846 3.4 -1.4 1.3
P -1.507936 -1.793211 -8.346503 0.2 -0.6 0.8
Br -1.585544 -2.813252 -10.392318 -0.4 0.1 0.1
Br -3.765306 -2.094158 -8.056010 -0.4 0.2 0.0
H 2.033024 -3.322723 -7.810867 -1.1 1.1 0.9
H 1.078283 -2.282700 -9.896454 -0.4 0.9 0.9
H 1.211805 -0.377737 -8.529021 -0.8 -0.4 -0.4
H -1.580050 -0.374710 -8.107218 -0.3 -0.6 -0.1
H -1.276474 -2.668827 -7.192457 0.0 0.9 -0.7
O -0.471033 -1.566527 -4.459939 1.4 4.5 0.6
P -0.504159 -1.433871 -2.917588 -2.1 -8.8 -0.8
N 0.668007 -2.690460 -2.701410 1.7 -0.2 -0.2
C 0.742075 -3.655313 -1.613313 0.0 0.0 0.5
C 2.038822 -2.267741 -3.028076 -0.1 0.0 -0.5
N -2.096709 -2.139075 -2.873971 -1.8 0.0 -0.2
C -2.344994 -3.531688 -2.518886 0.1 0.2 0.7
C -2.955242 -1.847087 -4.041816 0.4 0.3 0.1
N -0.542240 -1.281372 -1.144541 -0.6 3.6 -0.3
C -1.821068 -1.060312 -0.441894 -0.6 -0.1 0.1
C 0.281519 -0.101031 -0.790760 0.8 0.1 0.4
H 0.989096 -3.198838 -0.648768 0.0 0.0 0.1
H 1.512765 -4.410480 -1.814614 0.1 0.3 -0.3
H -0.164657 -4.241865 -1.497006 -0.1 0.3 0.0
H 2.476498 -1.686855 -2.210284 0.2 -0.1 0.1
H 2.078504 -1.657577 -3.933639 -0.2 -0.1 0.0
H 2.687189 -3.133791 -3.205099 -0.2 0.0 0.0
H -1.850659 -4.228096 -3.205830 0.1 -0.1 0.0
H -3.419863 -3.753018 -2.522634 0.1 0.2 -0.2
H -2.043942 -3.745142 -1.493051 0.2 0.0 -0.1
H -2.705309 -2.487679 -4.898534 0.0 0.1 0.0
H -2.860085 -0.799818 -4.349003 0.1 -0.3 0.0
H -4.014045 -2.002974 -3.803481 0.2 -0.1 0.3
H -2.405948 -0.258154 -0.905742 0.0 -0.1 0.2
H -1.651098 -0.791290 0.608397 0.4 0.2 -0.2
H -2.432534 -1.962641 -0.389164 0.1 0.1 -0.4
H -0.182717 0.821360 -1.159958 0.0 0.0 0.3
H 1.279009 -0.161746 -1.230135 0.0 -0.1 -0.1
H 0.418954 -0.018515 0.292945 0.0 -0.1 -0.2
O -3.478322 1.535239 1.904607 -0.5 4.7 0.1
P -4.241373 1.782836 3.228990 1.4 -9.1 0.5
N -2.955421 1.130507 4.188425 1.6 0.5 0.5
C -3.069927 0.380549 5.431339 -0.2 0.0 0.4
C -1.803960 2.038223 4.309774 0.2 -0.2 -0.4
N -5.358958 0.502791 2.844387 -1.4 -0.6 -0.8
C -5.274317 -0.833229 3.423170 -0.3 0.3 0.6
C -5.644126 0.316600 1.405565 0.2 0.5 0.0
N -5.118557 2.067467 4.751466 -1.5 3.1 -1.3
C -6.570646 1.817261 4.834031 -0.5 -0.4 -0.1
C -4.973492 3.506497 5.075648 0.4 0.4 0.6
H -3.445065 0.983439 6.265324 0.0 0.0 0.1
H -2.093216 -0.014870 5.738653 0.1 0.3 -0.3
H -3.687400 -0.508454 5.341157 -0.2 0.2 -0.1
H -1.994702 2.817911 5.053733 0.1 0.1 0.2
H -1.561850 2.527598 3.363299 -0.2 -0.1 0.0
H -0.904125 1.494734 4.620703 -0.2 0.0 0.0
H -4.328729 -1.330634 3.178846 0.1 -0.1 0.1
H -6.096152 -1.468299 3.068744 0.1 0.3 -0.2
H -5.415091 -0.813086 4.504054 0.2 0.0 0.0
H -4.843923 -0.243893 0.903259 -0.1 0.1 0.0
H -5.765999 1.280764 0.899870 0.2 -0.2 0.1
H -6.582464 -0.230402 1.255628 0.1 0.0 0.4
H -7.109172 2.269919 3.993919 -0.1 -0.1 0.2
H -6.987768 2.226181 5.763099 0.4 0.3 -0.1
H -6.811439 0.753900 4.880416 0.3 0.1 -0.3
H -5.492966 4.125868 4.334598 -0.1 0.1 0.3
H -3.925828 3.813269 5.079196 0.1 -0.1 -0.1
H -5.372332 3.735494 6.069931 0.0 -0.1 -0.2
O 3.367403 0.201758 0.743380 0.6 -2.5 4.0
P 4.690657 0.766476 1.315775 -1.2 5.5 -7.3
N 4.031902 2.358628 1.491322 -1.1 0.8 1.1
C 4.728099 3.627824 1.333734 0.4 0.2 0.1
C 3.112162 2.483459 2.632825 -0.4 -0.2 -0.3
N 5.442252 0.640229 -0.250940 0.8 -0.9 -1.2
C 5.623648 1.778356 -1.144733 0.5 0.2 0.4
C 4.974908 -0.481314 -1.093512 -0.1 -0.1 0.5
N 6.211835 1.415660 1.973785 0.8 -3.2 1.8
C 7.508857 0.993905 1.410012 0.4 -0.1 -0.5
C 6.279309 1.009511 3.397665 -0.1 0.4 0.7
H 5.480167 3.805973 2.109874 0.1 0.1 0.0
H 4.021882 4.466989 1.376412 -0.2 -0.4 0.1
H 5.199574 3.741228 0.361837 0.1 -0.3 0.1
H 3.663591 2.582761 3.572951 0.0 0.2 0.2
H 2.445476 1.622416 2.722573 0.2 -0.1 -0.2
H 2.471110 3.366571 2.528297 0.2 -0.1 -0.1
H 4.669570 2.235479 -1.431119 0.0 0.1 0.0
-- stop --

### Completed
1